"The sun and the moon shall be darkened" is the forcast of Joel, one of the 12 minor these |
It was Babe Ruth's real first name |
(Alex: It was [*]. [*] Herman Ruth.)
In 2006, Abdullah al-Amiri was removed as judge amid charges he was too soft on this notorious defendant |
Saddam Hussein
To magnify facts beyond the limits of truth |
to exaggerate
Roman commander Postumus revolted around 257 A.D. & set up an independent empire in this area that's now France |
The "whippers-in" assist with the hounds in this controversial sport recently restricted in the U.K. |
They're 1 of the 2 groups of people who require a second epistle from Paul, due to backsliding after the first |
Thessalonians (or Corinthians)
After retiring as a player, Babe Ruth was a first-base coach for this other New York City team in 1938 |
the Dodgers
Judge John Raulston, seen here, had to keep order between Darrow & Bryan in this 1925 trial |
the Scopes trial
As you'd expect, King Arthur wields this magical weapon in "Spamalot" |
C.S. Lewis could have "chronicled" this birth city of the emperor Marcus Cocceius Nerva in central Italy |
A perfumer's job has this "anatomical" name, & one of them reportedly had his insured for $3 million |
a nose
They're the stories by which Jesus taught--hey, did you hear the one about the sower & soils? |
To help the team's owner pay off debts, this team sold Ruth to the Yankees in 1920 |
the Boston Red Sox
On Oct. 29, 1969 at a trial in this city, Judge Hoffman ordered Bobby Seale bound & gagged |
(Alex: [*]. The trial of the [*] Eight. Yes.)
____________
[1]
## CeDy2TmBi4 (GGA-PBE)

Data for a relaxed CeDy2TmBi4 crystal.

abc: 4.503 7.783 7.792
angles: 109.46 90.00 90.00
Fractional positions:
Bi  0.000  0.755  0.253
Bi  0.500  0.246  0.250
Bi  0.500  0.754  0.750
Tm  0.000  0.000  0.000
Ce  0.500  0.500  0.000
Dy  0.000  0.500  0.500
Bi  0.000  0.245  0.747
Dy  0.500  0.000  0.500

Properties
V (Å³ per cell): 257
DFT formation energy (eV/atom): -0.82
Spin magnetization (μB per formula unit): 0.79

[2]
## Cd2MoRu (GGA-PBE)

Data for a relaxed Cd2MoRu crystal.

abc: 3.160 4.539 4.844
angles: 90.00 90.00 90.00
Fractional positions:
Ru  0.000  0.500  0.500
Cd  0.500  0.500  0.000
Cd  0.000  0.000  0.000
Mo  0.500  0.000  0.500

Properties
V (Å³ per cell): 69
DFT formation energy (eV/atom): 0.49
Spin magnetization (μB per formula unit): 0.00

[3]
## NdTm3Ru (GGA-PBE)

Data for a relaxed NdTm3Ru crystal.

abc: 7.284 7.284 7.182
angles: 107.09 112.57 109.38
Fractional positions:
Tm  0.301  0.556  0.857
Tm  0.151  0.940  0.693
Ru  0.359  0.255  0.614
Tm  0.246  0.458  0.307
Nd  0.718  0.053  0.770
Nd  0.282  0.947  0.230
Tm  0.849  0.060  0.307
Tm  0.699  0.444  0.143
Ru  0.641  0.745  0.386
Tm  0.754  0.542  0.693

Properties
V (Å³ per cell): 291
DFT formation energy (eV/atom): -0.21
Spin magnetization (μB per formula unit): 0.00

no.,mass density (kg/m³)
1,9481
2,10083
3,8598

=====

1.
Entry from Alexandria via LeMat-Bulk: a relaxed RbAc2Sc crystal (PBE-GGA).

The formation energy is 0.27 eV/atom. The value obtained for the magnetic moment is 0.0 μB per formula unit. The value obtained for the density is 5.442 Mg/m³.

a b c (Å): 3.8748 3.8748 41.1424
angles (deg): 90.00 90.00 120.00
Closest atoms and distances in Å follow each position.
Space group R-3m (No. 166, hexagonal axes)
Symmetry-distinct sites (fractional):
Rb1 0.0000 0.0000 0.0000 (multiplicity 3)  6 Rb 3.87, 2 Ac 4.11
Ac1 0.0000 0.0000 0.0999 (multiplicity 6)  3 Sc 3.54, 6 Ac 3.87
Sc1 0.0000 0.0000 0.5000 (multiplicity 3)  6 Ac 3.54, 6 Sc 3.87

2.
Entry from Alexandria via LeMat-Bulk: a relaxed BaMnCr2 crystal (PBE-GGA).

The formation energy is 1.28 eV/atom. The value obtained for the magnetic moment is 0.0 μB per formula unit. The value obtained for the density is 5.549 Mg/m³.

a b c (Å): 4.8442 4.8442 15.1112
angles (deg): 90.00 90.00 90.00
Closest atoms and distances in Å follow each position.
Space group I4_1/amd (No. 141, origin choice 2)
Symmetry-distinct sites (fractional):
Ba1 0.0000 0.2500 0.3750 (multiplicity 4)  8 Cr 3.30, 4 Mn 3.43
Mn1 0.0000 0.2500 0.8750 (multiplicity 4)  4 Cr 2.24
Cr1 0.0000 0.0000 0.0000 (multiplicity 8)  2 Mn 2.24, 2 Cr 2.42

3.
Entry from Alexandria via LeMat-Bulk: a relaxed CaSc2Ru crystal (PBE-GGA).

The formation energy is -0.08 eV/atom. The value obtained for the magnetic moment is 0.0 μB per formula unit. The value obtained for the density is 4.174 Mg/m³.

a b c (Å): 3.4097 4.8800 11.0478
angles (deg): 90.00 90.00 90.00
Closest atoms and distances in Å follow each position.
Space group Imm2 (No. 44)
____________
The materials data stop here >
Jungian type characterized by an outgoing personality |
an extrovert
Roman consul Lucius Metellus didn't play guitar for Metallica, but he did fight in the first of these lasting 264-241 B.C. |
the Punic Wars
Andrew Parker Bowles, Camilla's ex-husband, once held the odd job of "Silver Stick in waiting to" this royal |
the Queen
The 117th of these has only 33 words, including 3 "praise"s & 3 "Lord"s |
the Psalms
Total number of regular season home runs Babe Ruth hit in his career; it was the record until 1974 |
(Connie: What is 711?) (Alex: No.) (Connie: Oh, of regular season.)
This judge, who became Major League Baseball's first commissioner, was named for the Civil War battle of Kennesaw Mountain |
(Kennesaw Mountain) Landis
Adjective for school activities held after clases are finished |
Under this emperor, the Romans stuttered to a conquest of Britain in 43 A.D. |
Max McCalman is a maitre fromager--an expert on this--& he's written a "Connoisseur's Guide to the World's Best" |
Nonagenarians live to 90; we're not sure what to call Seth & this father of his, who both reached 900 |
(Alison: Who is Methuselah?)
The Babe wore this uniform number because it was his spot in the batting order, right before Lou Gehrig |
(Connie: What is... 7? No, it's not 7.) (Alex: He batted [*]. Lou Gehrig batted cleanup. You knew that?) (Connie: But I didn't say it.) (Alex: But you didn't say it. Your brain got in the way.)
This court's judges include Ranjeva of Madagascar, Owada of Japan & Tomka of Slovakia |
the World Court
The unfortunate condition of some animal species, or the fortunate condition of some volcanoes |
Vespasian, a poor man's son who became emperor in 69 A.D., began this dynasty that lent its name to an amphitheater |
the Flavian dynasty
To become a tatter, you'll have to learn to make the delicate handmade type of this fabric |